== Input ==
-- begin --
The following is a calculated X-ray powder pattern of Tc3P2. It was derived from the GGA-PBE geometry in Alexandria, using Cu Kα (weighted mean of Kα1 and Kα2).

Structure:
```
data_Tc3P2
_cell_length_a 9.0630
_cell_length_b 2.9962
_cell_length_c 10.0276
_cell_angle_alpha 90.00
_cell_angle_beta 90.00
_cell_angle_gamma 90.00
_symmetry_space_group_name_H-M 'P n m a'
_symmetry_Int_Tables_number 62
loop_
_symmetry_equiv_pos_as_xyz
'x,y,z'
'-x,-y,-z'
'-x+1/2,-y,z+1/2'
'x+1/2,y,-z+1/2'
'x+1/2,-y+1/2,-z+1/2'
'-x+1/2,y+1/2,z+1/2'
'-x,y+1/2,-z'
'x,-y+1/2,z'
loop_
_atom_site_label
_atom_site_type_symbol
_atom_site_fract_x
_atom_site_fract_y
_atom_site_fract_z
_atom_site_occupancy
Tc1 Tc 0.0596 0.2500 0.1282 1
Tc2 Tc 0.1376 0.7500 0.5400 1
Tc3 Tc 0.2158 0.2500 0.7708 1
P1 P 0.0262 0.7500 0.3214 1
P2 P 0.1806 0.7500 0.9635 1
```

Main lines, by angle (15° ≤ 2θ ≤ 90°):
2θ/deg	I/Imax
32.72	42.6
34.67	39.5
37.07	47.4
40.32	70.2
40.43	100.0
40.83	48.1
41.15	47.1
49.71	36.0



The following is a calculated X-ray powder pattern of CsIn5Hg6. It was derived from the GGA-PBE geometry in Alexandria, using Cu Kα (weighted mean of Kα1 and Kα2).

Structure:
```
data_CsIn5Hg6
_cell_length_a 9.9647
_cell_length_b 16.1516
_cell_length_c 5.0896
_cell_angle_alpha 90.00
_cell_angle_beta 120.33
_cell_angle_gamma 90.00
_symmetry_space_group_name_H-M 'C 1 2/m 1'
_symmetry_Int_Tables_number 12
loop_
_symmetry_equiv_pos_as_xyz
'x,y,z'
'-x,-y,-z'
'-x,y,-z'
'x,-y,z'
'x+1/2,y+1/2,z'
'-x+1/2,-y+1/2,-z'
'-x+1/2,y+1/2,-z'
'x+1/2,-y+1/2,z'
loop_
_atom_site_label
_atom_site_type_symbol
_atom_site_fract_x
_atom_site_fract_y
_atom_site_fract_z
_atom_site_occupancy
Cs1 Cs 0.0000 0.0000 0.0000 1
In1 In 0.0000 0.1716 0.5000 1
In2 In 0.0000 0.3235 0.0000 1
In3 In 0.0000 0.5000 0.5000 1
Hg1 Hg 0.2077 0.5000 0.2084 1
Hg2 Hg 0.2327 0.3262 0.7325 1
```

Main lines, by angle (15° ≤ 2θ ≤ 90°):
2θ/deg	I/Imax
31.84	100.0
31.99	98.6
33.28	46.3
35.27	41.8
42.02	19.4
49.28	30.8
58.62	31.6
61.06	17.8



The following is a calculated X-ray powder pattern of AcLaPr2Sm4. It was derived from the GGA-PBE geometry in Alexandria, using Cu Kα (weighted mean of Kα1 and Kα2).

Structure:
```
data_AcLaPr2Sm4
_cell_length_a 7.4648
_cell_length_b 7.4705
_cell_length_c 10.3889
_cell_angle_alpha 90.03
_cell_angle_beta 90.03
_cell_angle_gamma 90.07
_symmetry_space_group_name_H-M 'P 1'
_symmetry_Int_Tables_number 1
loop_
_symmetry_equiv_pos_as_xyz
'x,y,z'
loop_
_atom_site_label
_atom_site_type_symbol
_atom_site_fract_x
_atom_site_fract_y
_atom_site_fract_z
_atom_site_occupancy
Ac1 Ac 0.0000 0.0000 0.0000 1
Ac2 Ac 0.9999 0.4994 0.4999 1
La1 La 0.9997 0.5001 0.0005 1
La2 La 0.4997 0.4995 0.0003 1
Pr1 Pr 0.9998 0.9995 0.5003 1
Pr2 Pr 0.4998 0.0000 0.5004 1
Pr3 Pr 0.4999 0.5000 0.5001 1
Pr4 Pr 0.5000 0.9993 0.9999 1
Sm1 Sm 0.2541 0.2486 0.2508 1
Sm2 Sm 0.2538 0.2490 0.7495 1
Sm3 Sm 0.2541 0.7505 0.7493 1
Sm4 Sm 0.2538 0.7509 0.2511 1
Sm5 Sm 0.7456 0.2486 0.2510 1
Sm6 Sm 0.7458 0.2489 0.7493 1
Sm7 Sm 0.7460 0.7502 0.7495 1
Sm8 Sm 0.7456 0.7510 0.2509 1
```

Main lines, by angle (15° ≤ 2θ ≤ 90°):
2θ/deg	I/Imax
29.46	100.0
33.95	34.4
34.53	16.5
48.78	12.5
49.21	24.3
58.01	26.0
58.78	14.3
61.13	12.7



The following is a calculated X-ray powder pattern of Rb2S2O7. It was derived from the GGA-PBE geometry in Alexandria, using Cu Kα (weighted mean of Kα1 and Kα2).

Structure:
```
data_Rb2S2O7
_cell_length_a 7.7796
_cell_length_b 7.7904
_cell_length_c 13.4246
_cell_angle_alpha 85.36
_cell_angle_beta 88.17
_cell_angle_gamma 87.59
_symmetry_space_group_name_H-M 'P -1'
_symmetry_Int_Tables_number 2
loop_
_symmetry_equiv_pos_as_xyz
'x,y,z'
'-x,-y,-z'
loop_
_atom_site_label
_atom_site_type_symbol
_atom_site_fract_x
_atom_site_fract_y
_atom_site_fract_z
_atom_site_occupancy
Rb1 Rb 0.1224 0.1686 0.3614 1
Rb2 Rb 0.2836 0.2633 0.6395 1
Rb3 Rb 0.3137 0.6069 0.1607 1
Rb4 Rb 0.3150 0.8358 0.8670 1
S1 S 0.1965 0.1164 0.1008 1
S2 S 0.1976 0.6987 0.4177 1
S3 S 0.2096 0.3423 0.9105 1
S4 S 0.3863 0.7359 0.6058 1
-- stop --

== Exercise ==
It remains to copy everything further up unchanged.

== Here it is ==
The following is a calculated X-ray powder pattern of Tc3P2. It was derived from the GGA-PBE geometry in Alexandria, using Cu Kα (weighted mean of Kα1 and Kα2).

Structure:
```
data_Tc3P2
_cell_length_a 9.0630
_cell_length_b 2.9962
_cell_length_c 10.0276
_cell_angle_alpha 90.00
_cell_angle_beta 90.00
_cell_angle_gamma 90.00
_symmetry_space_group_name_H-M 'P n m a'
_symmetry_Int_Tables_number 62
loop_
_symmetry_equiv_pos_as_xyz
'x,y,z'
'-x,-y,-z'
'-x+1/2,-y,z+1/2'
'x+1/2,y,-z+1/2'
'x+1/2,-y+1/2,-z+1/2'
'-x+1/2,y+1/2,z+1/2'
'-x,y+1/2,-z'
'x,-y+1/2,z'
loop_
_atom_site_label
_atom_site_type_symbol
_atom_site_fract_x
_atom_site_fract_y
_atom_site_fract_z
_atom_site_occupancy
Tc1 Tc 0.0596 0.2500 0.1282 1
Tc2 Tc 0.1376 0.7500 0.5400 1
Tc3 Tc 0.2158 0.2500 0.7708 1
P1 P 0.0262 0.7500 0.3214 1
P2 P 0.1806 0.7500 0.9635 1
```

Main lines, by angle (15° ≤ 2θ ≤ 90°):
2θ/deg	I/Imax
32.72	42.6
34.67	39.5
37.07	47.4
40.32	70.2
40.43	100.0
40.83	48.1
41.15	47.1
49.71	36.0



The following is a calculated X-ray powder pattern of CsIn5Hg6. It was derived from the GGA-PBE geometry in Alexandria, using Cu Kα (weighted mean of Kα1 and Kα2).

Structure:
```
data_CsIn5Hg6
_cell_length_a 9.9647
_cell_length_b 16.1516
_cell_length_c 5.0896
_cell_angle_alpha 90.00
_cell_angle_beta 120.33
_cell_angle_gamma 90.00
_symmetry_space_group_name_H-M 'C 1 2/m 1'
_symmetry_Int_Tables_number 12
loop_
_symmetry_equiv_pos_as_xyz
'x,y,z'
'-x,-y,-z'
'-x,y,-z'
'x,-y,z'
'x+1/2,y+1/2,z'
'-x+1/2,-y+1/2,-z'
'-x+1/2,y+1/2,-z'
'x+1/2,-y+1/2,z'
loop_
_atom_site_label
_atom_site_type_symbol
_atom_site_fract_x
_atom_site_fract_y
_atom_site_fract_z
_atom_site_occupancy
Cs1 Cs 0.0000 0.0000 0.0000 1
In1 In 0.0000 0.1716 0.5000 1
In2 In 0.0000 0.3235 0.0000 1
In3 In 0.0000 0.5000 0.5000 1
Hg1 Hg 0.2077 0.5000 0.2084 1
Hg2 Hg 0.2327 0.3262 0.7325 1
```

Main lines, by angle (15° ≤ 2θ ≤ 90°):
2θ/deg	I/Imax
31.84	100.0
31.99	98.6
33.28	46.3
35.27	41.8
42.02	19.4
49.28	30.8
58.62	31.6
61.06	17.8



The following is a calculated X-ray powder pattern of AcLaPr2Sm4. It was derived from the GGA-PBE geometry in Alexandria, using Cu Kα (weighted mean of Kα1 and Kα2).

Structure:
```
data_AcLaPr2Sm4
_cell_length_a 7.4648
_cell_length_b 7.4705
_cell_length_c 10.3889
_cell_angle_alpha 90.03
_cell_angle_beta 90.03
_cell_angle_gamma 90.07
_symmetry_space_group_name_H-M 'P 1'
_symmetry_Int_Tables_number 1
loop_
_symmetry_equiv_pos_as_xyz
'x,y,z'
loop_
_atom_site_label
_atom_site_type_symbol
_atom_site_fract_x
_atom_site_fract_y
_atom_site_fract_z
_atom_site_occupancy
Ac1 Ac 0.0000 0.0000 0.0000 1
Ac2 Ac 0.9999 0.4994 0.4999 1
La1 La 0.9997 0.5001 0.0005 1
La2 La 0.4997 0.4995 0.0003 1
Pr1 Pr 0.9998 0.9995 0.5003 1
Pr2 Pr 0.4998 0.0000 0.5004 1
Pr3 Pr 0.4999 0.5000 0.5001 1
Pr4 Pr 0.5000 0.9993 0.9999 1
Sm1 Sm 0.2541 0.2486 0.2508 1
Sm2 Sm 0.2538 0.2490 0.7495 1
Sm3 Sm 0.2541 0.7505 0.7493 1
Sm4 Sm 0.2538 0.7509 0.2511 1
Sm5 Sm 0.7456 0.2486 0.2510 1
Sm6 Sm 0.7458 0.2489 0.7493 1
Sm7 Sm 0.7460 0.7502 0.7495 1
Sm8 Sm 0.7456 0.7510 0.2509 1
```

Main lines, by angle (15° ≤ 2θ ≤ 90°):
2θ/deg	I/Imax
29.46	100.0
33.95	34.4
34.53	16.5
48.78	12.5
49.21	24.3
58.01	26.0
58.78	14.3
61.13	12.7



The following is a calculated X-ray powder pattern of Rb2S2O7. It was derived from the GGA-PBE geometry in Alexandria, using Cu Kα (weighted mean of Kα1 and Kα2).

Structure:
```
data_Rb2S2O7
_cell_length_a 7.7796
_cell_length_b 7.7904
_cell_length_c 13.4246
_cell_angle_alpha 85.36
_cell_angle_beta 88.17
_cell_angle_gamma 87.59
_symmetry_space_group_name_H-M 'P -1'
_symmetry_Int_Tables_number 2
loop_
_symmetry_equiv_pos_as_xyz
'x,y,z'
'-x,-y,-z'
loop_
_atom_site_label
_atom_site_type_symbol
_atom_site_fract_x
_atom_site_fract_y
_atom_site_fract_z
_atom_site_occupancy
Rb1 Rb 0.1224 0.1686 0.3614 1
Rb2 Rb 0.2836 0.2633 0.6395 1
Rb3 Rb 0.3137 0.6069 0.1607 1
Rb4 Rb 0.3150 0.8358 0.8670 1
S1 S 0.1965 0.1164 0.1008 1
S2 S 0.1976 0.6987 0.4177 1
S3 S 0.2096 0.3423 0.9105 1
S4 S 0.3863 0.7359 0.6058 1